Flexible Architectural, Planning and Museum Related Services
Our museum planning & architectural services are tailored to the specific project location, type, size and schedule. Our Teams include museum architects, planners, and museological specialists. We collaborate on projects in a variety of ways, from the overall design team leader to a museum specialist consultant on teams led by others.
VernerJohnson often draws upon our extensive worldwide network of Professionals, including Cost/Economic Consultants, Engineers, Landscape Architects, Specialist Consultants, Exhibit Designers, Lighting Designers, Exhibit Fabricators, and Construction Firms. In the initial planning stages our teams tend to include only the key team members and specialists. As the projects progress, the teams expand as needed to include all of the necessary engineers, consultants and other support staff.
VernerJohnson often provides under one Contract, those required professional services specific to a particular museum project, from its inception through to its completion.

Museum Consulting
VernerJohnson offers full Museum Consulting Services. We assist our Clients in coordinating and implementing complex Museum Projects, continuously from inception to completion.
We offer Complete Planning and Feasibility Services, including:
• Institutional Planning: Mission, Roles & Audience Analysis
• Market Analysis
• Site Analysis and Selection
• Building Facility Programming and Space Planning
• Project Budgets and Detailed Scheduling
• Feasibility Analysis
• Operational Planning: Staffing, Operating Revenues/Expenses
• Conceptual Building Designs and Fundraising Images
• Conceptual Exhibit Designs and Fundraising Images

Comprehensive Architectural and Engineering Services
VernerJohnson leads and coordinates the full design team to provide all Architectural and Engineering services. These teams often include:
• Architectural Team (often in collaboration with a Local Architect) to provide all Design and Documentation.
• Landscape and Engineering Team to provide all Design and Documentation.
• Supplemental Museum Specialist Consultants: Lighting, Acoustics, Code, Security, Building Envelope, Telecom/Data, etc.
VernerJohnson is committed to developing solutions that are both low maintenance and sustainable in the long term. Our staff includes LEED Accredited Professionals.

Exhibit Design
VernerJohnson provides exhibit design services and also subcontracts with the best Exhibit Designers worldwide to provide the optimal experts for your project.
• Project Coordination of full Team of Exhibit Designers, Researchers, Writers, Media Specialists, Scientists, Historians, Curators and Others as required (under VernerJohnson’s Contract).
Here the entry breaks off for calculated crystals:
=====
Entry 1:
Diffraction record for Li2Mo2P2O11. The powder X-ray diffraction pattern is calculated, not measured: it uses the PBE+U geometry in Alexandria and CuKα.
Intensities are scaled so that the largest is 100.

Main lines, in order of rising 2θ (2θ = 5–70°):
(hkl), 2θ (°), I (rel.)
0 1 1, 17.16, 32
1 0 0, 17.92, 100
0 1 -1, 18.22, 16
0 0 2, 22.04, 44
1 0 2, 24.07, 42
0 2 0, 27.91, 38
2 0 1, 34.70, 14
0 3 1, 43.24, 14

Structure:
```
data_Li2Mo2P2O11
_chemical_formula_sum 'Li2 Mo2 P2 O11'
_symmetry_space_group_name_H-M 'P 1'
_symmetry_Int_Tables_number 1
_symmetry_space_group_name_Hall 'P 1'
_cell_length_a 5.1779
_cell_length_b 6.4117
_cell_length_c 8.4531
_cell_angle_alpha 85.92
_cell_angle_beta 72.97
_cell_angle_gamma 87.46
loop_
_atom_site_label
_atom_site_type_symbol
_atom_site_fract_x
_atom_site_fract_y
_atom_site_fract_z
Li1 Li 0.0000 0.0000 0.0000
Li2 Li 0.2252 0.6042 0.7999
Mo1 Mo 0.4948 0.9667 0.5897
Mo2 Mo 0.6010 0.5006 0.0683
P1 P 0.4627 0.9950 0.1761
P2 P 0.6470 0.4644 0.4748
O1 O 0.1827 0.0058 0.1614
O2 O 0.2661 0.9290 0.7920
O3 O 0.2965 0.5206 0.0201
O4 O 0.4569 0.2701 0.5753
O5 O 0.4617 0.6515 0.5742
O6 O 0.4779 0.9795 0.3562
O7 O 0.5542 0.4803 0.3045
O8 O 0.6429 0.1849 0.0811
O9 O 0.6475 0.8112 0.0832
O10 O 0.8199 0.9500 0.6027
O11 O 0.8625 0.5094 0.8827
```

Entry 2:
Diffraction record for LiMoP2O7. The powder X-ray diffraction pattern is calculated, not measured: it uses the PBE+U geometry in Alexandria and CuKα.
Intensities are scaled so that the largest is 100.

Main lines, in order of rising 2θ (2θ = 5–70°):
(hkl), 2θ (°), I (rel.)
1 1 1, 17.04, 100
1 1 -3, 22.29, 29
0 0 4, 27.85, 34
2 2 -2, 28.52, 60
3 1 -1, 29.09, 35
1 3 1, 34.26, 20
2 2 2, 34.47, 21
3 3 -1, 41.91, 16

Structure:
```
data_LiMoP2O7
_chemical_formula_sum 'Li8 Mo8 P16 O56'
_symmetry_space_group_name_H-M 'C 1 2/c 1'
_symmetry_Int_Tables_number 15
_symmetry_space_group_name_Hall '-C 2yc'
_cell_length_a 9.9197
_cell_length_b 8.5624
_cell_length_c 13.6272
_cell_angle_alpha 90.00
_cell_angle_beta 109.92
_cell_angle_gamma 90.00
loop_
_atom_site_label
_atom_site_type_symbol
_atom_site_fract_x
_atom_site_fract_y
_atom_site_fract_z
Li1 Li 0.1353 0.1089 0.1550
Mo1 Mo 0.1331 0.2613 0.6380
P1 P 0.1294 0.4614 0.4284
P2 P 0.1728 0.0745 0.8649
O1 O 0.0012 0.4541 0.6423
O2 O 0.0276 0.0806 0.8825
O3 O 0.0937 0.3110 0.4755
O4 O 0.1854 0.0829 0.3139
O5 O 0.2028 0.2161 0.8064
O6 O 0.2026 0.4151 0.0235
O7 O 0.2425 0.4375 0.3757
```

Entry 3:
Diffraction record for LiMoP2O8. The powder X-ray diffraction pattern is calculated, not measured: it uses the PBE+U geometry in Alexandria and CuKα.
Intensities are scaled so that the largest is 100.

Main lines, in order of rising 2θ (2θ = 5–70°):
(hkl), 2θ (°), I (rel.)
0 1 1, 11.06, 33
0 2 1, 17.57, 99
1 0 2, 23.19, 100
1 1 2, 24.54, 23
0 3 1, 24.97, 29
1 2 3, 33.32, 36
2 0 0, 34.47, 16
0 2 5, 42.97, 12

Structure:
```
data_LiMoP2O8
_chemical_formula_sum 'Li4 Mo4 P8 O32'
_symmetry_space_group_name_H-M 'P 21 21 21'
=====
• Full and complete integration of Exhibit Design with Building and Site Designs (from Concepts through Final Detailing).
Exhibit Fabrication and Installation
VernerJohnson offers full Exhibit Fabrication & Installation Services in collaboration with the leading firm in this field, kubik maltbie. kubik maltbie has been producing extraordinary experiences for museums, visitor centers, and specialty projects throughout North America and internationally for over 50 years.